[Activity]
What is needed: say how many lines of the rows underneath hold the word "PBE", as a bare number.

[Source]
=====
Entry 1:
A crystal of Cs2GaNiPt relaxed with PBEsol, computed with SCAN.

Calculated formation energy in eV/atom: 0.62
Crystal system: tetragonal
DFT total energy in eV per cell: -175.22

The structure in CIF format:
```
data_Cs2GaNiPt
_cell_length_a 5.5716
_cell_length_b 5.5716
_cell_length_c 4.6188
_cell_angle_alpha 90.00
_cell_angle_beta 90.00
_cell_angle_gamma 90.00
_space_group_name_H-M_alt 'P 4/m m m'
_space_group_IT_number 123
_space_group_name_Hall '-P 4 2'
loop_
_atom_site_label
_atom_site_fract_x
_atom_site_fract_y
_atom_site_fract_z
Cs1 0.0000 0.5000 0.0000
Ga1 0.0000 0.0000 0.5000
Ni1 0.0000 0.0000 0.0000
Pt1 0.5000 0.5000 0.5000
```



Entry 2:
A crystal of Er5BiPd2 relaxed with PBEsol, computed with SCAN.

Calculated formation energy in eV/atom: -0.82
Crystal system: tetragonal
DFT total energy in eV per cell: -1609.47

The structure in CIF format:
```
data_Er5BiPd2
_cell_length_a 7.6401
_cell_length_b 7.6401
_cell_length_c 13.3899
_cell_angle_alpha 90.00
_cell_angle_beta 90.00
_cell_angle_gamma 90.00
_space_group_name_H-M_alt 'I 4/m c m'
_space_group_IT_number 140
_space_group_name_Hall '-I 4 2c'
loop_
_atom_site_label
_atom_site_fract_x
_atom_site_fract_y
_atom_site_fract_z
Er1 0.0000 0.0000 0.0000
Er2 0.1549 0.3451 0.1400
Bi1 0.0000 0.0000 0.2500
Pd1 0.1364 0.3636 0.5000
```

~~~~~

A plane-wave DFT calculation with PBE-GGA was carried out for a relaxed La2TbHo2Tm2 crystal.

Symmetry: No. 12
Formation energy: 0.087 eV per atom
Total magnetic moment: 0.00 μB per cell

abc: 6.1370 6.1370 11.8668
angles: 108.07 108.07 33.26
Sites, in units of the cell vectors:
La (0.1725, 0.1725, 0.0841)
La (0.8275, 0.8275, 0.9159)
Tb (0.5000, 0.5000, 0.5000)
Ho (0.2732, 0.2732, 0.6334)
Ho (0.7268, 0.7268, 0.3666)
Tm (0.0479, 0.0479, 0.7672)
Tm (0.9521, 0.9521, 0.2328)

~~~~~

! CrSb2Os (PBE, relaxed); values from VASP
! E_form (uncorrected) = 0.4715 eV/atom
! electronic total energy = -27.21 eV per cell
! energy above the lowest structure with this stoichiometry = 210 meV per atom
&SYSTEM
  ibrav = 0, nat = 4, ntyp = 3
/
ATOMIC_SPECIES
Cr 52.00 Cr.upf
Os 190.23 Os.upf
Sb 121.76 Sb.upf
ATOMIC_POSITIONS crystal
Cr 0.2500 0.2500 0.2500
Os 0.7500 0.7500 0.7500
Sb 0.0072 0.0072 0.9885
Sb 0.4928 0.4928 0.5115
CELL_PARAMETERS angstrom
4.4813 0.0028 0.0031
3.2687 3.0655 0.0031
1.0757 0.4259 5.5950
=====

[Outcome]
1